== Given ==
┌──
No. 1
Computed, not measured: C21H19BrN2O5PdSTe as an isolated structure at a distorted geometry, with ωB97M-V with the def2-TZVPD basis set.

Summary:
Energy above the lowest of the compared OMol25 structures with the same formula, charge and spin = 37.0 kJ/mol
Multiplicity = 3

Each line ends with the Löwdin charge.
CARTESIAN COORDINATES (ANGSTROEM)
Te  0.69826  -1.13479  -2.39275  1.134
Pd  -0.48689  -1.80283  -0.29802  0.493
Br  -5.36594  2.26752  3.34227  0.736
S  -0.35010  -2.72843  1.87764  0.313
O  -3.24376  -1.15328  -0.05675  -0.101
O  -0.80699  -1.33265  2.00467  -0.361
O  -1.36801  0.43663  -0.73958  -0.122
O  -1.31306  -3.54218  1.12192  -0.382
O  0.99739  -2.79719  1.29915  -0.378
N  0.09987  2.57339  -0.23330  0.155
N  -0.54297  4.11756  1.20617  0.176
C  4.13462  -4.34067  -3.76325  -0.088
C  -4.04637  1.68902  2.10141  -0.672
C  -3.26001  0.03414  0.57779  -0.227
C  -2.20191  0.89442  0.21530  -0.194
C  -0.85072  2.93395  0.60359  -0.225
C  -4.17098  -2.13283  0.37900  -0.061
C  -4.18831  0.43573  1.51475  -0.047
C  1.07957  3.54000  -0.17898  -0.206
C  -2.99495  2.51996  1.81735  -0.087
C  1.85038  -3.84678  -3.20518  -0.156
C  -0.25324  -3.39363  3.52498  -0.135
C  -2.03848  2.12833  0.86908  -0.057
C  2.80832  -4.73638  -3.66603  -0.086
C  4.50785  -3.06550  -3.36178  -0.089
C  2.21348  -2.54981  -2.85580  -0.615
C  3.55001  -2.16921  -2.91481  -0.158
C  3.09317  4.71526  -0.57866  -0.091
C  2.29657  3.62001  -0.84895  -0.007
C  1.48376  5.63868  0.99525  -0.021
C  0.68699  4.53203  0.73301  -0.179
C  2.69056  5.70709  0.32481  -0.094
H  -3.93485  -3.03465  -0.17619  0.097
H  5.54869  -2.77125  -3.40407  0.104
H  -1.11341  4.59856  1.87792  0.155
H  3.83677  -1.17101  -2.60641  0.090
H  2.58746  2.84327  -1.54312  0.111
H  0.81547  -4.15351  -3.11308  0.091
H  0.54321  -2.86119  4.03881  0.066
H  -0.53882  1.04893  -0.71582  0.065
H  1.17568  6.41032  1.68879  0.109
H  -5.19824  -1.82322  0.16799  0.099
H  4.05131  4.81391  -1.07182  0.101
H  4.87697  -5.02435  -4.15423  0.102
H  3.34269  6.55239  0.50135  0.101
H  -5.00581  -0.20640  1.80754  0.104
H  -4.05846  -2.33239  1.44679  0.102
H  2.51941  -5.74049  -3.94849  0.104
H  -2.91784  3.47134  2.32595  0.097
H  -1.20556  -3.22343  4.02043  0.065
H  -0.03281  -4.45437  3.44336  0.067

***

No. 2
Computed, not measured: BrCl2O8Sr as an isolated structure at a distorted geometry, with ωB97M-V with the def2-TZVPD basis set.

Summary:
Total energy = -112289.786 eV
Net charge = -1
Multiplicity = 1

Each line ends with the Löwdin charge.
CARTESIAN COORDINATES (ANGSTROEM)
Sr  -4.06011  -1.49393  7.39307  1.700
Br  -4.66007  -6.53832  6.07611  -0.566
Cl  -6.54107  -3.16129  7.70311  0.601
Cl  -2.92230  -3.07523  4.70542  0.707
O  -5.43970  -3.97217  7.97638  -0.418
O  -6.19453  -2.71578  6.39275  -0.440
O  -7.80141  -4.04772  7.79551  -0.343
O  -6.85664  -2.01363  8.55750  -0.409
O  -1.80659  -3.04147  3.84499  -0.302
O  -3.55387  -4.36088  4.76046  -0.448
O  -3.85387  -1.95763  4.44175  -0.431
O  -2.43004  -2.52451  6.06617  -0.650

***

No. 3
Computed, not measured: an isolated molecule of C4H10SSi at a distorted geometry, with ωB97M-V with the def2-TZVPD basis set.

Summary:
Energy above the lowest of the compared OMol25 structures with the same formula, charge and spin = 91.9 kJ/mol
SMILES string = CCCC[SiH]=S
Multiplicity = 1

Each line ends with the Löwdin charge.
CARTESIAN COORDINATES (ANGSTROEM)
S  1.41429  -3.50644  -0.99028  0.138
Si  1.56910  -1.55979  -0.95167  0.236
C  -1.01368  0.90164  1.76692  -0.105
C  0.36027  -0.14571  -1.66599  -0.345
C  0.11199  0.77672  -0.46695  -0.351
C  -0.82563  0.02826  0.52988  -0.315
H  0.75317  0.40000  -2.51083  0.046
H  -1.61055  0.35131  2.55781  0.103
H  2.40867  -0.70428  0.04369  -0.030
H  -0.22515  -0.94742  0.83342  0.102
H  -1.27841  1.82412  1.34489  0.050
H  1.04530  0.95533  0.10289  0.072
H  -1.69997  -0.42571  -0.00471  0.115
H  0.00489  0.94991  2.09057  0.060
H  -0.63247  -0.66224  -1.97806  0.098
└──
== Activity ==
Reproduce the rows further above from the line with "0.43663" to the end unchanged, please.
== Outcome ==
O  -1.36801  0.43663  -0.73958  -0.122
O  -1.31306  -3.54218  1.12192  -0.382
O  0.99739  -2.79719  1.29915  -0.378
N  0.09987  2.57339  -0.23330  0.155
N  -0.54297  4.11756  1.20617  0.176
C  4.13462  -4.34067  -3.76325  -0.088
C  -4.04637  1.68902  2.10141  -0.672
C  -3.26001  0.03414  0.57779  -0.227
C  -2.20191  0.89442  0.21530  -0.194
C  -0.85072  2.93395  0.60359  -0.225
C  -4.17098  -2.13283  0.37900  -0.061
C  -4.18831  0.43573  1.51475  -0.047
C  1.07957  3.54000  -0.17898  -0.206
C  -2.99495  2.51996  1.81735  -0.087
C  1.85038  -3.84678  -3.20518  -0.156
C  -0.25324  -3.39363  3.52498  -0.135
C  -2.03848  2.12833  0.86908  -0.057
C  2.80832  -4.73638  -3.66603  -0.086
C  4.50785  -3.06550  -3.36178  -0.089
C  2.21348  -2.54981  -2.85580  -0.615
C  3.55001  -2.16921  -2.91481  -0.158
C  3.09317  4.71526  -0.57866  -0.091
C  2.29657  3.62001  -0.84895  -0.007
C  1.48376  5.63868  0.99525  -0.021
C  0.68699  4.53203  0.73301  -0.179
C  2.69056  5.70709  0.32481  -0.094
H  -3.93485  -3.03465  -0.17619  0.097
H  5.54869  -2.77125  -3.40407  0.104
H  -1.11341  4.59856  1.87792  0.155
H  3.83677  -1.17101  -2.60641  0.090
H  2.58746  2.84327  -1.54312  0.111
H  0.81547  -4.15351  -3.11308  0.091
H  0.54321  -2.86119  4.03881  0.066
H  -0.53882  1.04893  -0.71582  0.065
H  1.17568  6.41032  1.68879  0.109
H  -5.19824  -1.82322  0.16799  0.099
H  4.05131  4.81391  -1.07182  0.101
H  4.87697  -5.02435  -4.15423  0.102
H  3.34269  6.55239  0.50135  0.101
H  -5.00581  -0.20640  1.80754  0.104
H  -4.05846  -2.33239  1.44679  0.102
H  2.51941  -5.74049  -3.94849  0.104
H  -2.91784  3.47134  2.32595  0.097
H  -1.20556  -3.22343  4.02043  0.065
H  -0.03281  -4.45437  3.44336  0.067

***

No. 2
Computed, not measured: BrCl2O8Sr as an isolated structure at a distorted geometry, with ωB97M-V with the def2-TZVPD basis set.

Summary:
Total energy = -112289.786 eV
Net charge = -1
Multiplicity = 1

Each line ends with the Löwdin charge.
CARTESIAN COORDINATES (ANGSTROEM)
Sr  -4.06011  -1.49393  7.39307  1.700
Br  -4.66007  -6.53832  6.07611  -0.566
Cl  -6.54107  -3.16129  7.70311  0.601
Cl  -2.92230  -3.07523  4.70542  0.707
O  -5.43970  -3.97217  7.97638  -0.418
O  -6.19453  -2.71578  6.39275  -0.440
O  -7.80141  -4.04772  7.79551  -0.343
O  -6.85664  -2.01363  8.55750  -0.409
O  -1.80659  -3.04147  3.84499  -0.302
O  -3.55387  -4.36088  4.76046  -0.448
O  -3.85387  -1.95763  4.44175  -0.431
O  -2.43004  -2.52451  6.06617  -0.650

***

No. 3
Computed, not measured: an isolated molecule of C4H10SSi at a distorted geometry, with ωB97M-V with the def2-TZVPD basis set.

Summary:
Energy above the lowest of the compared OMol25 structures with the same formula, charge and spin = 91.9 kJ/mol
SMILES string = CCCC[SiH]=S
Multiplicity = 1

Each line ends with the Löwdin charge.
CARTESIAN COORDINATES (ANGSTROEM)
S  1.41429  -3.50644  -0.99028  0.138
Si  1.56910  -1.55979  -0.95167  0.236
C  -1.01368  0.90164  1.76692  -0.105
C  0.36027  -0.14571  -1.66599  -0.345
C  0.11199  0.77672  -0.46695  -0.351
C  -0.82563  0.02826  0.52988  -0.315
H  0.75317  0.40000  -2.51083  0.046
H  -1.61055  0.35131  2.55781  0.103
H  2.40867  -0.70428  0.04369  -0.030
H  -0.22515  -0.94742  0.83342  0.102
H  -1.27841  1.82412  1.34489  0.050
H  1.04530  0.95533  0.10289  0.072
H  -1.69997  -0.42571  -0.00471  0.115
H  0.00489  0.94991  2.09057  0.060
H  -0.63247  -0.66224  -1.97806  0.098